It should be said, however, that the claim of Russian to be a language of culture was at the time not much stronger than the claim of Ukrainian. After all, Pushkin, the first writer in the Russian language to excite any great interest outside Russia, only died in 1837. Prior to the eighteenth century both among Russians and Ukrainians, there was little idea of the possibility of culture outside the church. From the seventeenth century onwards the most advanced centre of church culture was the Kiev Academy founded by Peter Mogyla. In the Kiev Academy the languages of culture were Latin and Polish but the academy had been established by the Cossacks in imitation of what had already long been established in Catholic Poland. The Cossacks spoke Ukrainian and Ukrainian was the language used when texts were translated for their benefit. Peter I, much concerned with the low level of culture among the Russian clergy, turned to the relatively sophisticated and westernised Kiev Academy. The reorganisation of the Russian Church - the suppression of the Moscow patriarchate and creation of the 'Holy Synod' - was planned by Theophan Propokovich, formerly Prefect, then Rector of the Kiev-Mogila Academy. As well as theology and philosophy Propokovich taught 'poetics', basing his teaching on Polish models. The Orthodox theologian George Florovsky regarded Peter Moghila as promoting within Orthodox an essentially Catholic theology, and Propokovich an essentially Protestant one ('Theophan wasn't close to the Protestant theology of the eighteenth century, he was an integral part of it'). (12) Nickolai Lossky in his History of Russian philosophy says:
'The centuries of Tatar domination and then the isolationism of the Moscow state prevented the Russian people from becoming acquainted with Western European philosophy. Not until Peter the Great had "cut a window into Europe" was Russian culture introduced to the western culture on a wide scale.' (13)
(12) Georges Florovsky: Les Voies de la théologie russe, Paris, Desclée de Brouwer, 1991, p.134. Florovsky's book is available in an English translation but I only have it in French. This is my translation from the French.
(13) N.O.Lossky: History of Russian Philosophy, New York, International Universities Press Inc, 1951, p.10.
== What comes next are data records, not part of the entry ==
1.
Entry from Alexandria via LeMat-Bulk: a relaxed structure of Pm5Y4Tl2 (GGA-PBE).

The value obtained for the total DFT energy (no corrections) is -51.68 eV/cell. The formation energy comes out at 242 meV per atom. The density of states at the Fermi level is 1.426 states/eV/atom. For the volume, the calculation gives 34.9 A^3/atom.

Cell lengths 16.066, 16.066, 16.066 Å; angles 18.98, 18.98, 18.98 degrees
Sites, in units of the cell vectors:
Pm1 0.000 0.000 0.000
Pm2 0.148 0.148 0.148
Pm3 0.302 0.302 0.302
Pm4 0.698 0.698 0.698
Pm5 0.852 0.852 0.852
Y1 0.073 0.073 0.073
Y2 0.226 0.226 0.226
Y3 0.774 0.774 0.774
Y4 0.927 0.927 0.927
Tl1 0.389 0.389 0.389
Tl2 0.611 0.611 0.611

---

2.
Entry from Alexandria via LeMat-Bulk: a relaxed structure of PmY2Tl (GGA-PBE).

The value obtained for the total DFT energy (no corrections) is -80.72 eV/cell. The formation energy comes out at -34 meV per atom. The density of states at the Fermi level is 1.392 states/eV/atom. The value obtained for the offset from the most stable computed form is 164 meV per atom. For the volume, the calculation gives 29.7 A^3/atom.

Cell lengths 7.799, 7.799, 7.799 Å; angles 90.00, 90.00, 90.00 degrees
Sites, in units of the cell vectors:
Pm1 0.000 0.000 0.000
Pm2 0.000 0.500 0.500
Pm3 0.500 0.000 0.500
Pm4 0.500 0.500 0.000
Y1 0.250 0.250 0.250
Y2 0.250 0.250 0.750
Y3 0.250 0.750 0.250
Y4 0.250 0.750 0.750
Y5 0.750 0.250 0.250
Y6 0.750 0.250 0.750
Y7 0.750 0.750 0.250
Y8 0.750 0.750 0.750
Tl1 0.000 0.000 0.500
Tl2 0.000 0.500 0.000
Tl3 0.500 0.000 0.000
Tl4 0.500 0.500 0.500

---

3.
Entry from Alexandria via LeMat-Bulk: a relaxed structure of Pm4YTl2 (GGA-PBE).

The value obtained for the total DFT energy (no corrections) is -29.98 eV/cell. The formation energy comes out at 32 meV per atom. The density of states at the Fermi level is 1.770 states/eV/atom. The value obtained for the offset from the most stable computed form is 0 meV per atom. For the volume, the calculation gives 34.7 A^3/atom.

Cell lengths 9.527, 9.527, 9.527 Å; angles 34.14, 34.14, 34.14 degrees
Sites, in units of the cell vectors:
Pm1 0.130 0.130 0.130
Pm2 0.267 0.267 0.267
Pm3 0.733 0.733 0.733
Pm4 0.870 0.870 0.870
Y1 0.500 0.500 0.500
Tl1 0.385 0.385 0.385
Tl2 0.615 0.615 0.615

---

4.
Entry from Alexandria via LeMat-Bulk: a relaxed structure of Pm5YTl8 (GGA-PBE).

The value obtained for the total DFT energy (no corrections) is -53.23 eV/cell. The formation energy comes out at -292 meV per atom. The density of states at the Fermi level is 0.935 states/eV/atom. For the volume, the calculation gives 30.0 A^3/atom.

Cell lengths 8.170, 8.170, 8.170 Å; angles 109.16, 109.16, 110.10 degrees
Sites, in units of the cell vectors:
Pm1 0.000 0.000 0.000
Pm2 0.252 0.620 0.125
Pm3 0.380 0.505 0.632
Pm4 0.495 0.127 0.875
Pm5 0.873 0.748 0.368
Y1 0.750 0.250 0.500
Tl1 0.116 0.206 0.741
Tl2 0.117 0.705 0.746
Tl3 0.295 0.041 0.412
Tl4 0.464 0.375 0.259
Tl5 0.625 0.884 0.089
Tl6 0.629 0.883 0.588
Tl7 0.794 0.536 0.911
But the Ruthenians in Galicia and the Ukrainians in 'Little Russia' had been under Polish domination for at least three hundred years. They already had their 'window into Europe.'
Florovsky admits, albeit regretting it, the domination of Ukrainian culture in the early eighteenth century:
'In the history of the Russian school, the Petrine reform literally amounted to a Ukrainisation. For its Great Russian pupils this school [the Academy of the Saviour, established in 1700/01 on the model of the Kiev Academy in the Monastery of the Icon of the Saviour in Moscow] seemed doubly foreign: Latin and Ukrainian. Znamensky in his remarkable work on religious schools in the eighteenth century says that "For the students, all these teachers were really foreigners, coming from a different country with their own customs, their own way of thinking, their knowledge, their way of talking which was bizarre and barely comprehensible to the ear of a Great Russian. Not only did they not wish to secure the sympathy of the young people entrusted to them, but they despised the Russians, whom they considered to be savages, ridiculing everything which was different from Little Russian whose superiority they asserted constantly." We know that many of these immigrants never spoke Russian well and continued to use Ukrainian. It was only under Catherine that the situation changed ...'
It isn't however clear what is meant by the 'Ukrainian' language. There were, it appears, three languages in question. One was the Ukrainian version of Church Slavonic which gave way to the Russian version of Church Slavonic. The second was the version of 'Ruthenian', apparently heavily inflected with Church Slavonic used by the Cossacks as an administrative language. We might guess that this bore some resemblance to yasychie - the language favoured by the Greek Catholic Church in Galicia. It seems fairly obvious that the very fact that the Little Russians were so instrumental in the administration both of church and state under Peter I would lead to the languages of both church and administration giving way to the languages used in the Russian state as a whole and this is what is said - I think almost reluctantly - by two writers who obviously regret it from Ukrainian nationalist point of view:
'Having succeeded in the ‘Ruthenization’ of Muscovy by the late seventeenth century, the Ukrainians as a result of a subsequent russification of their Church and Cossack administration together with the educational system in the eighteenth century, lost impetus to break new ground in their own cultural tradition. Since they still felt themselves to be co-creators of the common Russian literary language which was, ultimately, imposed on them by decrees, bans, and career opportunities, they reluctantly accepted Great Russian as a kind of substitution for a missing member in the former bilingual opposition between Ukrainian Church Slavonic and Ruthenian (prostaja mova - 'plain language'). (14)
(14) Andrii Danylenko (Pace University, New York, USA) and Halyna Naienko (Taras Ševčenko National University of Kyiv, Kyiv, Ukraine): Linguistic russification in Russian Ukraine: languages, imperial models, and policies, article published online at Not paginated
There is, however, little reason to believe that these civil and ecclesiastical administrators had any notion of breaking new ground in their own cultural tradition or that they were at all reluctant to accept the use of Great Russian to pursue what they would probably have thought of as a civilising mission. 'Church Slavonic' was the language, apparently closest to Bulgarian, used by SS Cyril and Methodius to translate the Greek liturgical texts for the use of the Slavs. It had no particular Ukrainian association. The Ruthenian language would probably have seemed to them little more than a means of communicating with their Cossack overlords, who were themselves becoming incorporated into the Russian system. The languages of culture would still be Polish and German. (15) Indeed, it seems that at the end of the eighteenth century, the Kiev Academy itself played a role in the formalisation of the Russian language as a language of culture. (16)
(15) Ryszard Łużny and Paulina Lewin: 'The Kiev Mohyla Academy in Relation to Polish Culture', Harvard Ukrainian Studies, Vol.8, No.1/2, The Kiev Mohyla Academy: Commemorating the 350th Anniversary of its Founding (1632) (June 1984), pp. 123-135: 'Stefan Iavors'kyi, the Ukrainian poet who became came "curator of the patriarch's seat" of the Russian Orthodox Church owned almost exclusively Latin and Polish books ... ' Iavors'ky, 'the only writer from the Kiev Academy to be called poeta laureates', wrote in Latin and Polish (pp.126 & 133)
(16) 'Even the famous Kiev Academy - which up to this time provided a general education for members of all social groups - was revamped into a standardized imperial seminary. Metropolitan Myslavs'kyi [Metropolitan of Kiev - PB] launched a campaign at the academy to maintain the purity of the Russian language. Despite these efforts, some of the academy staff confessed to the metropolitan that they were "unable to rid themselves of their Little Russian manner of speech.' - Zenon E. Kohut: 'The Problem of Ukrainian Orthodox Church Autonomy in the Hetmanate (1654-1780s)', Harvard Ukrainian Studies, Vol.14, No.3/4 (December 1990), p.375.